

  • 电影 
  • Christopher Pearson ... Charles Beaumont Jennifer Inch ... Frank and Frances Sophie Favier ... Maud Alain Dumaurier ... Harmstorf 
  • 83
  • Charlie,ayoungaristocratinturnofthecenturyEngland,meetsaboynamedFrankontheroadtoPortsmouth.WhatCharlCharlie,ayoungaristocratinturnofthecenturyEngland,meetsaboynamedFrankontheroadtoPortsmouth.WhatCharliedoesn'trealizeisthatFrankisactuallyFrances,who'sdonnedadisguisetoescapeworkingatabrothel.CharlietakesFrank/Francesintohishome,andwhenhediscovershertrueidentity,thetwobecomelovers.HesendshertoLondontobetrainedbyhismistressintheartofsex,butshelearnsmuchmoreaboutheridentityasawoman.Beforetheopeningcredits,explicitlyon-screenitreads:"BasedonthefamousVictorianeroticnovelbyananonymouswriter".
  • 电影 
  • 未知
  • 44
  • 每周四次嘿咻,多次达到高潮而且终身保持忠诚:在性这件事上,谎言层出不穷。我们在哪些方面撒谎最多,又是出于什么原因?通过男女各四十位志愿者参与的令人惊讶的试验,德国电视二台(ZDF)这档纪录片将以最新研每周四次嘿咻,多次达到高潮而且终身保持忠诚:在性这件事上,谎言层出不穷。我们在哪些方面撒谎最多,又是出于什么原因?通过男女各四十位志愿者参与的令人惊讶的试验,德国电视二台(ZDF)这档纪录片将以最新研究结果将揭开关于德国人情爱方面赤裸裸的真相。(电影字幕翻译2.0小组)
Entry 1:
C5H4O2 | ωB97M-V/def2-TZVPD

Summary:
HOMO energy (spin up / spin down): -9.7 / -9.3 eV
HOMO-LUMO gap (spin up / spin down): 8.3 / 7.5 eV
Calculated total energy: -9339.582 eV
Strongest force on any atom: 2.3 eV/A

Element x y z (Å)
O -0.7721 2.0263 1.3349
C -0.4511 1.1205 0.6051
O -0.3736 1.3182 -0.7405
C -0.2953 0.2130 -1.5927
C 0.1972 -0.9779 -1.2660
C 0.6907 -1.0626 0.3249
C -0.0949 -0.2268 1.0998
H -0.6756 0.4261 -2.5885
H 1.5184 -0.5102 -0.1410
H 0.9917 -2.0439 0.6769
H -0.5037 -0.5097 2.0695

These are the Mulliken partial charges, in e, on atoms 1 to 6: -0.529 0.616 -0.332 -0.117 -0.360 -0.394

Entry 2:
C16H44O24P4S2 | ωB97M-V/def2-TZVPD

Summary:
HOMO energy: -10.5 eV
HOMO-LUMO gap: 10.6 eV
Structure (SMILES): COP(=O)(OC)OC.COP(=O)(OC)OC.COP(=O)(OC)OC.COP(=O)(OC)OC.O=S1(=O)OCCO1.O=S1(=O)OCCO1
Calculated total energy: -125274.842 eV
Strongest force on any atom: 4.8 eV/A

Element x y z (Å)
C -1.8569 -23.8571 -7.7087
O -2.3983 -24.1608 -6.4030
P -1.5332 -24.5421 -5.0492
O -2.2313 -24.4966 -3.7662
O -0.8734 -26.0035 -5.3105
C 0.2425 -26.2020 -6.1811
O -0.2710 -23.5534 -5.1260
C -0.5391 -22.1196 -5.1467
H -0.7938 -24.0904 -7.7669
H -1.9899 -22.8133 -7.9934
H -2.2825 -24.4001 -8.5526
H 0.0643 -26.1865 -7.2563
H 0.7284 -27.1647 -6.0228
H 1.0138 -25.4589 -5.9787
H -1.5407 -21.9080 -4.7723
H -0.5518 -21.7402 -6.1685
H 0.1696 -21.5475 -4.5480
C 0.2823 -28.5572 0.8333
O -0.1707 -28.8524 2.1671
P -1.7207 -28.8675 2.5400
O -2.4497 -27.6033 2.2897
O -1.6333 -29.4981 4.0760
C -1.9985 -28.6791 5.2173
O -2.3652 -30.1106 1.7579
C -3.2952 -31.0261 2.2938
H 0.8176 -29.4088 0.4134
H 0.9880 -27.7298 0.9074
H -0.5077 -28.2889 0.1318
H -1.2334 -28.6518 5.9932
H -2.8702 -28.9338 5.8201
H -2.2451 -27.6575 4.9283
H -2.9214 -31.9897 1.9475
H -4.3183 -30.9598 1.9238
H -3.4326 -31.0348 3.3751
C -1.0064 -21.1183 10.6303
O -1.9441 -22.1589 10.5940
P -2.2863 -22.9568 9.2283
O -1.1262 -23.1135 8.2993
O -3.5163 -22.0887 8.5950
C -4.3338 -22.6551 7.5468
O -2.9904 -24.3430 9.7052
C -4.0442 -24.2924 10.6422
H -0.4228 -21.0482 9.7124
H -0.3302 -21.3001 11.4657
H -1.4933 -20.1441 10.6748
H -5.2554 -23.0644 7.9607
H -3.8027 -23.3549 6.9016
H -4.6264 -21.8554 6.8664
H -4.2554 -23.3281 11.1043
H -3.9767 -24.9833 11.4826
H -4.9210 -24.5806 10.0623
C 5.1718 -18.5114 1.4898
O 4.9819 -17.1864 1.0736
P 6.1809 -16.0350 1.2865
O 7.5405 -16.5416 1.6580
O 6.0709 -15.2519 -0.1073
C 6.7807 -15.6693 -1.2697
O 5.3820 -15.1091 2.3363
C 4.1127 -14.5623 1.9997
H 5.2855 -19.0973 0.5777
H 4.3099 -18.8232 2.0797
H 6.0096 -18.7120 2.1576
H 6.1126 -15.4455 -2.1013
H 7.0539 -16.7242 -1.2978
H 7.6290 -14.9887 -1.3428
H 3.7103 -13.6792 2.4960
H 3.3741 -15.3485 2.1554
H 4.0384 -14.3901 0.9259
O 0.3682 -15.2746 9.4874
S 0.4332 -15.5293 8.0158
O 0.8509 -14.4417 7.1171
O 1.1698 -16.9246 7.7209
C 0.7448 -17.4978 6.5360
C -0.7298 -17.0837 6.4040
O -0.9355 -16.2286 7.4541
H 1.2554 -17.0389 5.6894
H 0.8625 -18.5748 6.6561
H -1.3909 -17.9448 6.5019
H -0.9671 -16.6807 5.4194
O -2.2321 -21.2418 0.4164
Back to the piece.
  • 伦理 电影 
  • Lina Englund Chatarina Larsson 
  • The siblings Linus, 19-years-old, who are taking driving licence and Vanja, 17-years-old, who's stilThe siblings Linus, 19-years-old, who are taking driving licence and Vanja, 17-years-old, who's still in school. Their mom Eva works night shift at a hotel. We get to follow them during one month. Linus and Vanja begin to realize that they are living in a universe of their own. And there is neither room for the mom or boy- and girlfriends. At first it is only the longing love i...
  • 伦理 电影 
  • Georgina Baillie Harmony Hex Michelle Thorne 
  • 英国最臭名昭著的浪荡女孩,号称撒旦荡妇。英国最臭名昭著的浪荡女孩,号称撒旦荡妇。
  • 剧情 电影 
  • Jason Clarke Paz Vega Idris Elba 
  • 108分钟
  • 人类合约/The Human Contract (2008)●好莱坞重量级巨星“威尔史密斯”之妻“贾达·萍克·史密斯”首部自编自导银幕处女作●西班牙性感女星《幽灵奇侠》《露西亚的情人》帕兹·维嘉领  人类合约/TheHumanContract(2008)  ●好莱坞重量级巨星“威尔史密斯”之妻“贾达·萍克·史密斯”首部自编自导银幕处女作  ●西班牙性感女星《幽灵奇侠》《露西亚的情人》帕兹·维嘉领衔主演
  • 电影 
  • 何家驹 Ka-Kui Ho 林坤厚 Lam Kwan-Hau 江欣燕 Elvina Kong 朱萍媛 Ping Woon Chu 
  • 0
  • 芸娘新婚燕尔,其夫却被官兵强行征召从军,芸娘决心冒险寻夫,千辛万苦,差点在途中荒郊遭强奸,最后在乱军中得知夫君经已阵亡,幸得一奇女子香菱相救并在草屋中同住,开始了二女异常亲蜜的女同生活。    一天,芸娘新婚燕尔,其夫却被官兵强行征召从军,芸娘决心冒险寻夫,千辛万苦,差点在途中荒郊遭强奸,最后在乱军中得知夫君经已阵亡,幸得一奇女子香菱相救并在草屋中同住,开始了二女异常亲蜜的女同生活。    一天,一个逃兵士刚突然闯进并请求她俩相助,香菱因恨男人而拒之;但芸娘却起了怜惜之心,偷偷将他安置在山中,于是三人的情、爱、恨便一直纠缠不清……此时二女屡遭山中一群男人强暴性扰多次,于是三人合力共计,一举杀减群匪,不料香菱因有同性恋,嫉妒芸娘和士刚甜蜜性爱,因而向王家军告密,来居处缉捕逃兵士刚,芸娘和士刚见状潜逃,途中被香菱杀害,人头落地,芸娘再刺死香菱,孤寂无语问苍天…
  • 伦理 电影 
  • Fedja van Huêt 卡里斯·范·侯登 提奥·马森 
  • A photographer returns to his parental home because his mother is seriously ill. The confrontation wA photographer returns to his parental home because his mother is seriously ill. The confrontation with his past leads to panic in a surreal, stylised psychological drama.
  • 剧情 电影 
  • Brandon Auret 
  • Paul Mullan has left the police force after mistakenly killing his partner. He became a drifter. AccPaul Mullan has left the police force after mistakenly killing his partner. He became a drifter. Accidentally he lands a job as a chauffeur after meeting a mysterious wealthy gentleman named Bernhard. Soon he gets involved with in a passionate love affair with Bernhard’s lover, Michelle. Things start getting complicated for everybody when Bernhard’s daughter, Lindsey, gets kidnapped. Trying to not involve the police, Bernhard asks Paul and Michelle to help rescue Lindsey. They managed to do it but they also discover that Lindsey wasn’t so innocent after all.Based on Best Selling Book "Double Echo" by Francois Bloemhof
  • 剧情 同性 电影 
  • Baptiste Bertin Catherine Mouchet Jean-François Stévenin 提奥·弗里莱 
  • 91分钟
  • 豆瓣 6.6小镇一场足球赛上,年轻的守门员突然被倒塌的门柱砸中,送医不治。这场意外让镇长成为了众矢之的,而和死者在赛前闹别扭的亲密好友也陷入了自责和追寻真相的漩涡中。尽在不言的情感如藤蔓绵绵密密的铺展,覆盖盛夏悠长的时光......  一部优美的作品,导演小心翼翼的维持着故事的波澜不兴。愤怒、愧疚、眷恋、欲望似乎都被压抑和包裹其间,只能从镜头暗示、细微的动作表情中悄然释放。正因为此,情感在最终倾泻的瞬间是那么的具有穿透力。
  • 伦理 电影 
  • 未知
  • 一个旅游女孩跌跌撞撞地卖淫,结果成了一个高价的太太。一个旅游女孩跌跌撞撞地卖淫,结果成了一个低价的太太。